Storing Dairy And Meat Products In The Refrigerator

Storing Dairy And Meat Products In The Refrigerator

Food items, even when stored in the refrigerator, have only a few days of shelf life. Dairy and meat products can especially get spoiled very easily if they are not stored properly. Listed below are some safety and storage tips for refrigerating food like meat and dairy products properly:
Materials data, kept here for reference >
Record 1
Compound: AcBiTeO6
Source: the Alexandria database
Functional: PBE
Structure: optimized geometry

## Properties
The calculation puts the total moment at 0.000 μB/atom. The raw formation energy is -1.698 eV/atom. The density of states at the Fermi level is 0.000 states/eV/atom.

Cell lengths 5.9884, 5.9884, 9.0114 Å; angles 90.00, 90.00, 120.00 degrees
With the nearest neighbours (Å) after each atom.
Space group P-31c (No. 163)
Inequivalent atoms, fractional coordinates:
Ac: 0.3333 0.6667 0.2500 x2  6 O 2.52
Bi: 0.0000 0.0000 0.0000 x2  6 O 2.43
Te: 0.3333 0.6667 0.7500 x2  6 O 1.97
O: 0.0685 0.3862 0.6276 x12  1 Te 1.97

---

Record 2
Compound: ScRe2SnP
Source: the Alexandria database
Functional: PBE
Structure: optimized geometry

## Properties
The calculation puts the total moment at 0.530 μB/atom. Its formation energy is 1.932 eV/atom. The density of states at the Fermi level is 0.956 states/eV/atom.

Cell lengths 4.9472, 4.9472, 4.8812 Å; angles 90.00, 90.00, 90.00 degrees
With the nearest neighbours (Å) after each atom.
Space group P4/mmm (No. 123)
Inequivalent atoms, fractional coordinates:
Sc: 0.0000 0.0000 0.0000 x1  8 Re 3.47, 4 P 3.50
Re: 0.0000 0.5000 0.5000 x2  2 Sn 2.47
Sn: 0.5000 0.5000 0.5000 x1  2 P 2.44, 4 Re 2.47
P: 0.5000 0.5000 0.0000 x1  2 Sn 2.44

---

Record 3
Compound: Pr2Hg3Pb
Source: the Alexandria database
Functional: PBE
Structure: optimized geometry

## Properties
The calculation puts the total moment at 0.000 μB/atom. Its formation energy is -0.418 eV/atom. The density of states at the Fermi level is 0.755 states/eV/atom.

Cell lengths 7.4240, 10.1683, 17.5447 Å; angles 90.00, 90.00, 90.00 degrees
With the nearest neighbours (Å) after each atom.
Space group Fmmm (No. 69)
Inequivalent atoms, fractional coordinates:
Pr: 0.2447 0.0000 0.0000 x8  10 Hg 3.41-3.51, 2 Pb 3.46, 2 Pr 3.63-3.79
Pr: 0.2500 0.2500 0.2500 x8  4 Pb 3.48, 8 Hg 3.49, 2 Pr 3.71
Hg: 0.0000 0.0000 0.1643 x8  2 Hg 2.89, 1 Pb 2.99
Hg: 0.0000 0.2465 0.0818 x16  2 Hg 2.87-2.89, 1 Pb 2.96
Pb: 0.0000 0.0000 0.3348 x8  3 Hg 2.96-2.99

---

Record 4
Compound: CeH7Pd2Rh2
Source: the Alexandria database
Functional: PBE
Structure: optimized geometry

## Properties
The calculation puts the total moment at 0.055 μB/atom. The calculation puts the calculated total energy at -113.96 eV for the cell shown. The density of states at the Fermi level is 0.573 states/eV/atom.

Cell lengths 7.6829, 4.7990, 6.7176 Å; angles 90.00, 108.70, 90.00 degrees
With the nearest neighbours (Å) after each atom.
Space group C2 (No. 5)
Inequivalent atoms, fractional coordinates:
Ce: 0.0000 0.0000 0.0000 x2  10 H 2.50-2.75
H: 0.0000 0.7647 0.5000 x2  2 Pd 1.85, 2 Rh 1.86
H: 0.1121 0.4953 0.9713 x4  1 Rh 1.63
H: 0.2115 0.2319 0.7808 x4  1 Rh 1.66, 1 Pd 1.79
H: 0.2284 0.7720 0.7794 x4  1 Rh 1.66, 1 Pd 1.83
Pd: 0.1937 0.0127 0.5593 x4  3 H 1.79-1.85
Rh: 0.0778 0.5115 0.7196 x4  3 H 1.63-1.66

---

Record 5
Compound: Sm6Mg2Cd
Source: the Alexandria database
Functional: PBE

(Next to the piece, the page also holds materials data)
~~~
[1]
Here is an optimized crystal structure of SrSm2Ag2Sn2 from Alexandria via LeMat-Bulk. Energies are from PBE-GGA.

Lattice parameters (Å, degrees): 4.9525 4.9525 28.0849 90.00 90.00 120.00
With the nearest neighbours (Å) after each atom.
Space group R-3m (No. 166, hexagonal axes)
One atom of each set of equivalent atoms:
Sr  0.0000  0.0000  0.0000 [3 per cell]  6 Sn 3.57, 2 Sm 3.82
Sm  0.0000  0.0000  0.1360 [6 per cell]  3 Ag 2.99, 3 Sn 3.31, 3 Sm 3.34
Ag  0.0000  0.0000  0.4378 [6 per cell]  3 Sn 2.97, 3 Sm 2.99
Sn  0.0000  0.0000  0.2570 [6 per cell]  3 Ag 2.97, 3 Sm 3.31

Properties
**Density of states at the Fermi level**: 6.291 states/eV per cell
**Mass density**: 7.0 g cm⁻³
**Formation enthalpy at 0 K**: -0.452 eV/atom
**VASP energy**: -84.0 eV for the cell shown
**Magnetization**: 0.00 μB/f.u.

=====

[2]
Here is an optimized crystal structure of CdSiP2O8 from Alexandria via LeMat-Bulk. Energies are from PBE-GGA.

Lattice parameters (Å, degrees): 7.7961 5.0682 6.9440 90.00 91.41 90.00
With the nearest neighbours (Å) after each atom.
Space group C2/m (No. 12)
One atom of each set of equivalent atoms:
Cd  0.0000  0.0000  0.0000 [2 per cell]  2 O 2.20
Si  0.0000  0.0000  0.5000 [2 per cell]  6 O 1.73-1.82
P  0.1532  0.5000  0.7112 [4 per cell]  4 O 1.52-1.57
O  0.0362  0.2485  0.6866 [8 per cell]  1 P 1.57
O  0.2165  0.0000  0.4503 [4 per cell]  1 P 1.53
O  0.2266  0.5000  0.9153 [4 per cell]  1 P 1.52

Properties
**Density of states at the Fermi level**: 0.000 states/eV per cell
**Mass density**: 4.0 g cm⁻³
**E_form (uncorrected)**: -2.136 eV per atom
**VASP energy**: -164.9 eV for the cell shown
**Magnetization**: 0.00 μB/f.u.

=====

[3]
Here is an optimized crystal structure of TlCuW2 from Alexandria via LeMat-Bulk. Energies are from PBE-GGA.

Lattice parameters (Å, degrees): 3.3115 4.3370 9.3026 90.00 90.00 90.00
With the nearest neighbours (Å) after each atom.
Space group Immm (No. 71)
One atom of each set of equivalent atoms:
Tl  0.0000  0.0000  0.0000 [2 per cell]  4 Cu 2.73, 4 W 2.92
Cu  0.0000  0.0000  0.5000 [2 per cell]  4 Tl 2.73, 4 W 2.80
W  0.0000  0.5000  0.2421 [4 per cell]  4 W 2.73, 2 Cu 2.80, 2 Tl 2.92

Properties
**Density of states at the Fermi level**: 4.431 states/eV per cell
**Mass density**: 15.8 g cm⁻³
**Formation enthalpy at 0 K**: 0.707 eV/atom
**VASP energy**: -59.1 eV for the cell shown
**Magnetization**: 0.00 μB/f.u.

=====

[4]
Here is an optimized crystal structure of Ba2WS5 from Alexandria via LeMat-Bulk. Energies are from PBE-GGA.

Lattice parameters (Å, degrees): 7.2123 7.2123 8.6586 90.00 90.00 90.00
With the nearest neighbours (Å) after each atom.
Space group I4mm (No. 107)
One atom of each set of equivalent atoms:
Ba  0.0000  0.5000  0.0000 [4 per cell]  10 S 3.31-3.64
W  0.0000  0.0000  0.1942 [2 per cell]  5 S 2.15-2.36
S  0.0000  0.0000  0.9456 [2 per cell]  1 W 2.15
S  0.2253  0.2253  0.2584 [8 per cell]  1 W 2.36

Properties
**Mass density**: 4.6 g cm⁻³
~~~
  • Refrigerating dairy products
    Many dairy products we use in our everyday cooking, like fresh milk, cream, and some soft cheeses, lose quality quite rapidly when exposed to warm temperatures during the storage process as they tend to have short shelf lives. It’s important to check the temperature of your refrigerator and ensure that it is high in case you have some of these dairy products stored in it. You will also need to keep dairy products wrapped or covered as they tend to pick up flavors from the other food items stored in the refrigerator. Although hard cheese has a longer shelf life, it develops surface mold. Eggs also need to be stored in the refrigerator to lengthen their shelf life considerably and also help maintain the quality of the eggs.
  • Storing raw meat products in the refrigerator
    The term meat generally refers to and includes beef, pork, lamb, and such. Meat products need to be stored in the coldest section of your refrigerator. Fresh meat that is wrapped can be safely stored in the refrigerator for up to three days, and unwrapped fresh meat can be kept for five days at cold temperatures. Meat stored in the coldest part of your refrigerator can also become slimy and go bad when stored for long periods of time. Also, it is advisable to store meat in an adequately ventilated container so that air can circulate through the meat, ensuring that it stays fresh for longer.
[Between two parts of the entry: records of crystals]
┌──
Entry 1:
DFT (PBE-GGA) results for crystalline Pm3Ga3Pd2 at its relaxed geometry.

Cell lengths 8.2666, 15.3494, 5.6406 Å; angles 90.00, 90.00, 90.00 degrees
Space group Pnma (No. 62)
One atom of each set of equivalent atoms:
Pm 0.0432 0.1086 0.1266 [8 per cell]
Pm 0.1854 0.2500 0.6255 [4 per cell]
Ga 0.1663 0.7500 0.6225 [4 per cell]
Ga 0.1878 0.0366 0.6112 [8 per cell]
Pd 0.0974 0.6068 0.3749 [8 per cell]

Calculated values
Polymorph energy (0 for the lowest one)   0.57 kcal/mol of atoms
VASP energy   -4.9594 eV/atom
Energy of formation   -0.74 eV/atom

Entry 2:
DFT (PBE-GGA) results for crystalline Rb2AlInI6 at its relaxed geometry.

Cell lengths 8.3963, 8.4118, 8.4131 Å; angles 62.49, 62.48, 62.48 degrees
Space group P1 (No. 1)
One atom of each set of equivalent atoms:
Rb 0.0000 0.0000 0.0000 [1 per cell]
Rb 0.4814 0.4790 0.4812 [1 per cell]
Al 0.2402 0.2392 0.2400 [1 per cell]
In 0.7403 0.7392 0.7400 [1 per cell]
I 0.0258 0.3932 0.5377 [1 per cell]
I 0.0870 0.9407 0.4519 [1 per cell]
I 0.3934 0.5374 0.0282 [1 per cell]
I 0.4544 0.0850 0.9424 [1 per cell]
I 0.5377 0.0278 0.3946 [1 per cell]
I 0.9426 0.4504 0.0855 [1 per cell]

Calculated values
VASP energy   -2.6831 eV/atom
ΔE_f (raw)   -879.4 kJ/mol of formula units

Entry 3:
DFT (PBE-GGA) results for crystalline Cs2TeS at its relaxed geometry.

Cell lengths 9.5487, 10.1854, 6.9790 Å; angles 90.00, 90.00, 90.00 degrees
Space group Pnma (No. 62)
One atom of each set of equivalent atoms:
Cs 0.1195 0.0537 0.2352 [8 per cell]
Te 0.1357 0.2500 0.7222 [4 per cell]
S 0.1415 0.7500 0.0148 [4 per cell]

Calculated values
Polymorph energy (0 for the lowest one)   0.00 kcal/mol of atoms
VASP energy   -3.1507 eV/atom
ΔE_f (raw)   -349.9 kJ/mol of formula units

Please write out number 1 again, unchanged.
DFT (PBE-GGA) results for crystalline Pm3Ga3Pd2 at its relaxed geometry.

Cell lengths 8.2666, 15.3494, 5.6406 Å; angles 90.00, 90.00, 90.00 degrees
Space group Pnma (No. 62)
One atom of each set of equivalent atoms:
Pm 0.0432 0.1086 0.1266 [8 per cell]
Pm 0.1854 0.2500 0.6255 [4 per cell]
Ga 0.1663 0.7500 0.6225 [4 per cell]
Ga 0.1878 0.0366 0.6112 [8 per cell]
Pd 0.0974 0.6068 0.3749 [8 per cell]

Calculated values
Polymorph energy (0 for the lowest one)   0.57 kcal/mol of atoms
└──
[The entry goes on]
    Uncooked liver, minced meat, poultry, and seafood need to be stored carefully as they usually carry a large number of microorganisms and get spoiled faster. These can grow even in the refrigerator, so you need to store all these products in the coldest part of your refrigerator and ensure that you use them as soon as possible. These products should be stored for a maximum of three days, but you can store meat in the freezer for a long time. However, with this, keep in mind that the quality of the meat will deteriorate, so an important safety and storage tip for refrigerating this food is to consume it as soon as possible.
  • Meat, poultry, and seafood must be refrigerated as soon as cooked
    You need not let them cool on the countertop before refrigerating them. Modern refrigerators are quite capable of handling hot food items placed in them. Microbes start growing when the food is warm, and placing the cooked food in the refrigerator stops the growth process of the microbes, making it a helpful safety and storage tip for refrigerating food. Delicatessen meats like ham, corned beef, polish salami, and most other luncheon meat must also be stored in the refrigerator for a maximum of 4-5 days.